Farm Tender

Vigilance the key to building a reputation as a reliable supplier of Grain

As harvest wraps up for 2017, the Grains Research and Development Corporation (GRDC) is reminding growers that managing storage facilities and operations effectively brings rewards beyond the farm gate.

On-farm grain storage has become a significant component of many Australian cropping operations and Development Agronomist with the Queensland Department of Agriculture and Fisheries (DAF) Philip Burrill, who is involved in the GRDC’s Grain Storage Extension Project, said growers need to get the basics right from the start.

He said by doing this, growers can build a good reputation that leads to preferred-supplier partnerships with grain buyers and traders.

# Between two parts of the page: calculated molecules
'''
(1)
C18H13ClN3O4 as an isolated structure at a distorted geometry. Source: the Open Molecules 2025 dataset; level of theory: ωB97M-V/def2-TZVPD.

Summary:
E_tot in eV: -44037.009
M in g/mol: 370.77
Frontier orbital gap in hartree: 0.1514
Total charge: -1

Cartesian coordinates (Å):
C 0.26 0.76 -1.62
H 5.75 -0.96 0.06
H 4.12 0.94 -2.26
C 3.06 0.99 -1.74
O -1.38 0.64 -3.62
H 1.45 1.11 -4.50
C -5.65 -2.23 2.77
H -3.57 -1.35 -3.01
C -1.20 1.28 0.87
C -4.90 -1.09 0.75
O -1.36 2.09 1.94
C -4.81 -1.51 -0.86
C -1.23 0.44 -2.31
C -2.46 0.32 0.35
N -5.48 -3.18 3.67
H 4.26 2.66 1.40
N -5.92 -2.37 -1.47
H -3.68 0.12 2.52
H 1.61 1.84 1.89
O 1.72 0.31 -3.95
H -5.57 -2.68 -2.41
H 4.86 -2.02 1.47
C 4.41 1.70 0.74
O -6.08 -1.58 1.49
H 4.46 1.29 3.35
C 3.02 1.40 -0.14
C 4.62 0.32 1.66
N 4.61 0.30 3.04
H -6.03 -3.28 -0.93
C 4.80 -1.08 0.76
Cl 3.32 2.15 3.62
C -3.61 -1.03 -1.86
H 5.33 1.83 0.01
C 1.61 1.53 0.75
C -3.68 -0.17 1.37
H 3.88 -1.26 0.03
C 0.20 1.20 -0.02
C -2.41 -0.08 -1.27
C 1.64 0.67 -2.51

=====

(2)
C23H37N4O3PPdS3Se as an isolated structure at a distorted geometry. Source: the Open Molecules 2025 dataset; level of theory: ωB97M-V/def2-TZVPD.

Summary:
E_tot in eV: -147179.614
Relative energy (zero: lowest compared OMol25 entry of this formula, charge and spin) in kcal/mol: 16.0
M in g/mol: 730.13
Frontier orbital gap in hartree: 0.1713
Total charge: -2

Cartesian coordinates (Å):
H 1.35 3.83 -2.50
C -2.47 -2.11 2.79
C 4.25 0.06 -1.47
H 1.41 -5.96 -1.52
C -1.35 -4.38 -2.33
H -2.08 -3.57 -2.35
H -1.58 -5.08 -3.15
O -3.05 3.49 -2.47
S -1.07 -1.59 -1.58
O 1.44 0.03 -1.59
C 5.61 0.16 -1.69
Pd 0.11 -0.33 0.09
H 2.38 -4.48 -1.56
C 1.24 3.81 -1.41
H -3.06 0.66 2.79
C 4.18 -1.89 -2.88
C 0.25 -2.55 -2.11
H 3.72 0.74 -0.82
S -3.49 4.57 0.08
H 7.33 -0.67 -2.68
H 1.32 -2.39 0.92
H -1.62 4.93 -4.18
C -2.64 3.08 -3.77
C 6.26 -0.75 -2.50
H -0.77 -5.94 -0.93
C 1.93 -5.26 -2.17
C 0.21 4.83 -0.95
P -2.21 3.62 -1.09
H 3.61 -2.68 -3.33
N -0.05 -3.80 -2.57
N -0.49 -2.44 1.92
H -1.56 1.32 -3.15
C 2.04 -1.01 -1.89
C 0.98 -4.61 -3.17
H -3.33 4.95 -4.62
O -1.03 4.63 -1.61
C -1.41 2.19 -3.79
H -2.16 4.07 -5.64
H 6.05 -2.50 -3.73
H -3.50 2.52 -4.16
H 0.94 2.81 -1.10
Se 1.78 0.33 1.64
H 0.96 5.25 1.03
C -0.90 -1.23 1.47
H -0.55 2.73 -3.42
H 6.18 0.95 -1.22
H 1.56 -3.97 -3.83
H -1.21 -4.38 -0.19
H 0.49 -5.38 -3.78
H 0.51 5.84 -1.28
H -2.50 0.79 1.11
H -3.42 -2.16 3.28
H -1.33 -3.94 3.21
C -1.45 -5.09 -0.98
S -1.44 1.86 -0.55
C -2.96 0.13 1.85
H -1.21 1.85 -4.81
H -0.01 3.78 0.91
C -2.42 4.34 -4.62
N -2.13 -1.03 2.01
H 2.72 -5.80 -2.70
C 0.08 4.81 0.57
C -1.45 -2.99 2.74
H -3.95 -0.17 1.49
H 2.21 4.02 -0.96
C 0.78 -3.04 1.64
H -0.81 5.35 0.88
H 1.38 -3.10 2.55
N 1.53 -2.23 -2.19
C 5.54 -1.78 -3.09
C 3.52 -0.96 -2.08
H 0.65 -4.04 1.20
H -2.46 -5.45 -0.82

=====

(3)
C39H33N4O4PRhS as an isolated structure. Source: the Open Molecules 2025 dataset; level of theory: ωB97M-V/def2-TZVPD.

Summary:
Expectation value of S²: 6.036
E_tot in eV: -78254.662
Spin multiplicity: 5
'''

“Since there is a large amount of grain in storage, it is very important for every grower to keep track of the details of grain quality segregations in each silo,” he said.

“Simple things such as clearly numbering each silo means growers know what grain is going where and less mistakes are made during the busy time of harvest.

“Before the grain goes in, it’s important to capture samples to test the quality of the harvest.”

Mr Burrill suggests growers have a 20 litre bucket with a lid for each silo or shed, and as grain is being put in, take a small sample every 5 - 10 minutes, so there is a bucket representing the quality for each silo.

### These quantum chemistry results were left in the article by mistake
-- begin --
DFT (wB97M-V/def2-TZVPD) results for a cluster of 3 separate species, C35H61FN4O3PS2 in total at a distorted geometry.

Calculated values
HOMO level: -0.4068 Ha
LUMO energy: -4.26 eV
Molar mass: 700.004 g/mol
Calculated total energy: -83058.91898 eV
Kohn-Sham gap: 0.2504 Eh

```
! wB97M-V def2-TZVPD RIJCOSX def2/J DEFGRID3
* xyz 1 1
C -6.397 -2.120 -1.179
C -4.961 -1.503 -0.971
C -3.903 -2.618 -0.598
C -2.773 -2.120 0.296
C -1.640 -1.660 -0.392
N -1.531 -1.609 -1.792
C -1.893 -0.368 -2.473
C -1.326 0.921 -1.813
N -0.547 -1.242 0.301
C -0.411 -1.207 1.632
C 0.972 -0.733 2.044
C 1.143 0.843 1.832
C -0.198 1.616 1.702
C 0.167 3.146 1.526
S -0.751 4.178 2.717
C 0.175 4.116 4.228
N -0.250 4.863 5.196
N 0.643 4.619 6.223
C 1.521 3.781 5.819
O 1.271 3.388 4.515
C -1.530 -1.606 2.411
C -1.484 -1.551 3.865
P -0.187 -0.964 4.997
O 1.005 -2.066 5.040
O 0.400 0.517 4.635
S -0.760 -0.777 6.859
C -2.591 -2.015 4.537
C -3.771 -2.492 3.906
C -3.878 -2.511 2.523
C -5.230 -3.007 2.025
C -5.160 -4.584 1.862
C -5.559 -5.319 3.167
F -4.417 -5.737 3.864
C -2.737 -2.080 1.748
H -6.325 -3.219 -1.258
H -6.998 -1.869 -0.287
H -6.904 -1.696 -2.057
H -4.964 -0.670 -0.251
H -4.686 -1.122 -1.969
H -3.523 -2.955 -1.577
H -4.411 -3.514 -0.211
H -1.746 -2.465 -2.277
H -1.431 -0.387 -3.479
H -2.967 -0.172 -2.634
H -1.495 1.806 -2.443
H -1.917 1.094 -0.888
H -0.280 0.809 -1.483
H 0.232 -0.934 -0.279
H 1.376 -1.098 2.991
H 1.665 -1.153 1.284
H 1.716 1.192 2.707
H 1.744 1.042 0.924
H -0.772 1.434 2.621
H -0.740 1.340 0.787
H -0.154 3.458 0.518
H 1.261 3.283 1.580
H 2.320 3.436 6.472
H 1.309 -2.116 5.964
H -0.204 1.135 5.084
H -2.620 -2.042 5.633
H -4.603 -2.843 4.525
H -5.626 -2.505 1.140
H -5.981 -2.846 2.820
H -5.697 -4.943 0.971
H -4.090 -4.833 1.708
H -6.114 -6.229 2.889
H -6.166 -4.692 3.843
C 0.717 -3.376 -6.934
C 1.822 -2.324 -6.948
C 2.847 -2.506 -5.830
C 2.289 -2.385 -4.411
C 1.592 -1.061 -4.100
C 2.514 0.150 -4.200
H 0.125 -3.328 -6.017
H 0.036 -3.222 -7.773
H 1.135 -4.381 -7.020
H 1.378 -1.325 -6.902
H 2.344 -2.382 -7.907
H 3.652 -1.779 -5.969
H 3.313 -3.491 -5.933
H 3.114 -2.526 -3.704
H 1.590 -3.206 -4.222
H 1.194 -1.112 -3.079
H 0.729 -0.920 -4.759
H 3.364 0.049 -3.520
H 1.976 1.061 -3.931
H 2.898 0.283 -5.212
C 4.072 5.220 1.944
C 5.056 4.251 1.296
C 5.869 4.878 0.166
C 5.048 5.369 -1.029
C 4.182 4.306 -1.702
C 4.987 3.157 -2.302
H 3.320 5.567 1.232
H 3.546 4.728 2.767
H 4.590 6.091 2.349
H 4.518 3.368 0.935
H 5.749 3.894 2.064
H 6.614 4.153 -0.176
H 6.439 5.723 0.565
H 5.737 5.787 -1.769
H 4.408 6.199 -0.714
H 3.610 4.784 -2.503
H 3.446 3.909 -0.995
H 5.701 3.526 -3.040
H 4.323 2.448 -2.803
H 5.537 2.606 -1.537
*
```

DFT (wB97M-V/def2-TZVPD) results for a structure of composition C35H62Cl9N10O18 at a distorted geometry.

Calculated values
HOMO level: -0.3956 Ha
LUMO energy: -2.51 eV
Molar mass: 1230.010 g/mol
Calculated total energy: -201722.81267 eV
Kohn-Sham gap: 0.3033 Eh

```
! wB97M-V def2-TZVPD RIJCOSX def2/J DEFGRID3
* xyz 1 1
C -2.652 0.487 2.262
-- stop --

“Once this bucket is carefully mixed, a final test for protein, moisture, screenings and other attributes is carried out. By determining the quality of each silo, growers can have an informed conversation about the quality of their grain with traders and buyers,” he said.

“Keep records of grain quality for each silo in a notebook, which can be regularly transfered to a spreadsheet in the farm office. These records are not only valuable when negotiating grain sales but enables the grower to analyse trends over the years.

“If applying grain protectant insecticides while filling silos at harvest time, keep an accurate record of what grain was treated in which silo. Record the chemical product used and dose rate.

“Historically, some growers haven’t been as vigilant as they could have been with recording storage data. But this information is required in commodity vendor declarations, and by having an official record, growers can gain the trust and confidence of buyers and traders.”

Mr Burrill said as well as recording initial grain quality tests, growers, particularly those planning on storing grain for some time, need to undertake monthly checks of the grain, recording any pests found and any fumigations undertaken.

“As well as sieving grain from the silo base, I recommend that growers use insect probe traps to check for pests on the top of the silo. Each month probe traps are simply pushed into the peak of the grain and pulled up for inspection,” he said.

[1]
92
Properties=species:S:1:pos:R:3:forces:R:3:lowdin_charge:R:1 method="wB97M-V/def2-TZVPD" molar_mass_g_mol=801.53 largest_force_ev_per_a=0.80 homo_ev=-1.77 total_energy_ev=-94054.1096 total_charge=-2 gap_ev=5.43
Rb 0.2772 0.8702 2.0754 0.14 0.61 -0.51 0.81
C 1.4392 -4.5809 0.7059 -0.03 0.06 -0.03 -0.11
N 0.3541 -3.8177 0.0956 0.08 -0.10 -0.12 -0.15
C 0.9024 -2.8942 -0.8882 -0.08 -0.01 -0.01 -0.20
C 1.8148 -1.8527 -0.2464 0.23 0.05 0.05 -0.20
N 1.8151 -0.5601 -0.9340 0.20 -0.12 -0.16 -0.16
C 2.7884 0.3358 -0.3160 -0.02 0.07 0.12 -0.10
C 2.0987 -0.6257 -2.3463 -0.08 -0.14 0.07 -0.27
C 2.8735 -1.6671 -2.8588 -0.01 -0.06 0.09 -0.06
C 3.1726 -1.7733 -4.2060 -0.01 0.04 -0.10 -0.12
C 2.7020 -0.7954 -5.0735 0.01 -0.04 0.05 -0.13
C 1.9672 0.2620 -4.5717 0.00 -0.03 0.02 -0.16
C 1.6494 0.3927 -3.2085 0.04 0.16 -0.15 -0.63
S 0.7904 1.8373 -2.7104 -0.04 0.04 0.10 0.55
C -0.7026 -4.6563 -0.3846 0.01 -0.03 0.15 -0.25
C -0.9894 -4.7118 -1.7491 0.00 0.01 0.00 -0.06
C -2.0340 -5.4735 -2.2574 0.01 0.01 -0.04 -0.13
C -2.8012 -6.2235 -1.3841 -0.03 -0.03 0.03 -0.14
C -2.5150 -6.1968 -0.0289 0.01 0.01 0.00 -0.17
C -1.4857 -5.4233 0.5293 0.06 0.03 -0.06 -0.67
S -1.2867 -5.4417 2.2704 0.02 0.01 -0.04 0.45
H 2.0531 -5.0759 -0.0683 0.00 -0.01 0.01 0.09
H 1.0267 -5.3205 1.3866 0.00 -0.02 0.00 0.01
H 2.0923 -3.9166 1.2784 -0.02 -0.01 0.01 0.07
H 0.1001 -2.3648 -1.4059 -0.08 0.00 0.14 0.14
H 1.4613 -3.4491 -1.6579 -0.05 0.04 -0.02 0.10
H 2.8473 -2.2324 -0.1540 -0.03 -0.09 0.03 0.11
H 1.4734 -1.6951 0.7836 -0.06 0.10 -0.06 0.09
H 3.8199 -0.0347 -0.4282 -0.02 -0.05 -0.03 0.10
H 2.6015 0.4181 0.7555 0.06 0.08 0.05 0.03
H 2.7148 1.3223 -0.7733 -0.04 0.00 0.04 0.06
H 3.2434 -2.4302 -2.1842 0.02 0.07 -0.05 0.10
H 3.7581 -2.6101 -4.5675 0.01 0.00 -0.01 0.09
H 2.9090 -0.8501 -6.1364 0.01 -0.02 0.00 0.09
H 1.6105 1.0388 -5.2363 -0.01 0.01 0.00 0.08
H -0.3928 -4.1391 -2.4452 -0.02 -0.01 -0.01 0.09
H -2.2351 -5.4681 -3.3222 0.00 -0.01 0.00 0.08
H -3.6290 -6.8233 -1.7481 0.01 0.00 -0.01 0.08
H -3.1162 -6.7727 0.6642 -0.01 0.00 -0.01 0.07
C 1.1242 4.6350 0.8379 0.04 -0.02 -0.11 -0.21
N 1.4709 3.6367 1.8176 -0.02 -0.17 -0.05 -0.04
C 2.6261 3.7186 2.3625 -0.03 0.04 -0.01 -0.14
C 3.1921 2.7972 3.3043 0.03 -0.04 0.05 -0.38
C 4.4084 2.9900 3.9808 -0.02 -0.02 -0.04 -0.11
C 4.5666 1.8779 4.8103 0.02 0.00 0.02 -0.15
C 3.4373 1.0776 4.5787 0.00 0.00 -0.04 -0.24
N 2.6041 1.6170 3.6760 -0.01 -0.03 0.01 -0.04
C -0.1767 5.3473 1.1376 0.00 0.02 0.08 -0.22
C -0.9647 5.0059 2.2305 0.02 0.05 0.02 -0.05
C -2.1823 5.6409 2.4505 0.02 -0.01 -0.01 -0.09
C -2.6195 6.6327 1.5897 0.00 -0.01 0.01 -0.11
C -1.8320 6.9883 0.5011 0.02 0.00 -0.01 -0.10
C -0.6240 6.3496 0.2785 -0.04 -0.02 -0.03 -0.05
H 1.0047 4.1392 -0.1361 0.07 0.04 -0.01 0.11
H 1.9246 5.3795 0.7027 -0.01 0.04 0.04 0.11
H 3.2819 4.5675 2.1112 -0.01 0.01 0.00 0.12
H 5.0728 3.8361 3.8696 0.00 0.00 0.00 0.08
H 5.3832 1.6667 5.4857 0.00 0.00 0.00 0.06
H 3.2106 0.1221 5.0370 0.00 0.01 0.01 0.07
H -0.6133 4.2367 2.9066 -0.01 0.00 -0.01 0.11

“The combination of sieving grain from the base and inspecting one or two probe traps in the top of the silo provides a good early indication of any developing insect infestation problems."

“By accessing the grain peak, growers can smell and look at the grain properly to check for moisture or mould problems.”

Growers can also get a clear picture of safe storage conditions by using a grain temperature probe to measure the temperature in each silo. This is a helpful check of the performance of the aeration cooling system. Grain temperatures in aerated storages during summer should typically be under 23 degrees.

If an auto aeration controller is fitted to fans, check the hour run meters. The setting should be on ‘protect’ mode, and should operate for around 100 hours of fan run time per month.

“This may seem like a lot of work, but sieving for insects, checking grain temperatures and inspecting the aeration system should take less than two hours a month for a grower who has grain in six silos,” Mr Burrill said.

“This small amount of time invested in effectively managing stored grain will significantly reduce problems, build your reputation as a reliable supplier and lead to a profitable on-farm storage facility.”